1.
# K2MnTl, relaxed, DFT PBE
# * E above lowest polymorph: 259 meV/atom
# * final energy: -2.833 eV per atom
# * density of states at the Fermi level: 12.31 states/eV/cell
data_K2MnTl
_chemical_formula_sum 'K8 Mn4 Tl4'
_cell_length_a 8.4215
_cell_length_b 8.4215
_cell_length_c 8.4215
_cell_angle_alpha 90.00
_cell_angle_beta 90.00
_cell_angle_gamma 90.00
_space_group_name_H-M_alt 'F m -3 m'
_space_group_IT_number 225
_space_group_name_Hall '-F 4 2 3'
loop_
_atom_site_label
_atom_site_fract_x
_atom_site_fract_y
_atom_site_fract_z
K1 0.2500 0.2500 0.2500
Mn1 0.0000 0.0000 0.0000
Tl1 0.0000 0.0000 0.5000


2.
# RbLaHg3, relaxed, DFT PBE
# * E above lowest polymorph: 0 meV/atom
# * final energy: -1.356 eV per atom
# * density of states at the Fermi level: 7.55 states/eV/cell
data_RbLaHg3
_chemical_formula_sum 'Rb1 La1 Hg3'
_cell_length_a 6.1766
_cell_length_b 6.1766
_cell_length_c 6.1766
_cell_angle_alpha 90.00
_cell_angle_beta 90.00
_cell_angle_gamma 90.00
_space_group_name_H-M_alt 'P m -3 m'
_space_group_IT_number 221
_space_group_name_Hall '-P 4 2 3'
loop_
_atom_site_label
_atom_site_fract_x
_atom_site_fract_y
_atom_site_fract_z
Rb1 0.0000 0.0000 0.0000
La1 0.5000 0.5000 0.5000
Hg1 0.0000 0.5000 0.5000


no.,ΔH_f (0 K) (eV/atom)
1,0.600
2,0.005

* * * * *

[1]
Compound: BRhS2O
Source: Alexandria via LeMat-Bulk
Functional: PBE
Structure: optimized geometry

The formation energy (no corrections) is 1059 meV/atom. The calculation puts the size of the total moment at 1.6 μB/cell. The value obtained for the theoretical density is 4.79 Mg/m³. As for the density of states at the Fermi level: 4.7 states/eV per cell.

The structure belongs to space group P4/mmm (No. 123); the cell edges are 3.967, 3.967 and 4.266 Å and the angles 90.00°, 90.00° and 90.00°. The distinct sites, in fractional coordinates, are B at (0.000, 0.000, 0.000), Rh at (0.000, 0.000, 0.500), S at (0.000, 0.500, 0.000) and O at (0.500, 0.500, 0.500).

---

[2]
Compound: BSb2RhO
Source: Alexandria via LeMat-Bulk
Functional: PBE
Structure: optimized geometry

The formation energy (no corrections) is 772 meV/atom. The calculation puts the size of the total moment at 0.0 μB/cell. The value obtained for the theoretical density is 6.96 Mg/m³. As for the density of states at the Fermi level: 1.9 states/eV per cell.

The structure belongs to space group P4/mmm (No. 123); the cell edges are 4.685, 4.685 and 4.055 Å and the angles 90.00°, 90.00° and 90.00°. The distinct sites, in fractional coordinates, are B at (0.000, 0.000, 0.000), Sb at (0.000, 0.500, 0.500), Rh at (0.500, 0.500, 0.000) and O at (0.500, 0.500, 0.500).

---

[3]
Compound: SnBRhO5
Source: Alexandria via LeMat-Bulk
Functional: PBE
Structure: optimized geometry

The formation energy (no corrections) is -1301 meV/atom. The calculation puts the size of the total moment at 0.0 μB/cell. The value obtained for the theoretical density is 5.92 Mg/m³.

The structure belongs to space group C2/c (No. 15); the cell edges are 6.251, 8.001 and 7.659 Å and the angles 90.00°, 113.83° and 90.00°. The distinct sites, in fractional coordinates, are Sn at (0.250, 0.250, 0.000), B at (0.000, 0.063, 0.250), Rh at (0.000, 0.404, 0.250), O at (0.000, 0.355, 0.750), O at (0.005, 0.187, 0.398) and O at (0.211, 0.048, 0.822).

---

What is the formula in the second record? BSb2RhO

Could you transcribe the listing further above from the line with "_cell_length_c 6.1766" to the end without altering anything?

_cell_length_c 6.1766
_cell_angle_alpha 90.00
_cell_angle_beta 90.00
_cell_angle_gamma 90.00
_space_group_name_H-M_alt 'P m -3 m'
_space_group_IT_number 221
_space_group_name_Hall '-P 4 2 3'
loop_
_atom_site_label
_atom_site_fract_x
_atom_site_fract_y
_atom_site_fract_z
Rb1 0.0000 0.0000 0.0000
La1 0.5000 0.5000 0.5000
Hg1 0.0000 0.5000 0.5000


no.,ΔH_f (0 K) (eV/atom)
1,0.600
2,0.005

* * * * *

[1]
Compound: BRhS2O
Source: Alexandria via LeMat-Bulk
Functional: PBE
Structure: optimized geometry

The formation energy (no corrections) is 1059 meV/atom. The calculation puts the size of the total moment at 1.6 μB/cell. The value obtained for the theoretical density is 4.79 Mg/m³. As for the density of states at the Fermi level: 4.7 states/eV per cell.

The structure belongs to space group P4/mmm (No. 123); the cell edges are 3.967, 3.967 and 4.266 Å and the angles 90.00°, 90.00° and 90.00°. The distinct sites, in fractional coordinates, are B at (0.000, 0.000, 0.000), Rh at (0.000, 0.000, 0.500), S at (0.000, 0.500, 0.000) and O at (0.500, 0.500, 0.500).

---

[2]
Compound: BSb2RhO
Source: Alexandria via LeMat-Bulk
Functional: PBE
Structure: optimized geometry

The formation energy (no corrections) is 772 meV/atom. The calculation puts the size of the total moment at 0.0 μB/cell. The value obtained for the theoretical density is 6.96 Mg/m³. As for the density of states at the Fermi level: 1.9 states/eV per cell.

The structure belongs to space group P4/mmm (No. 123); the cell edges are 4.685, 4.685 and 4.055 Å and the angles 90.00°, 90.00° and 90.00°. The distinct sites, in fractional coordinates, are B at (0.000, 0.000, 0.000), Sb at (0.000, 0.500, 0.500), Rh at (0.500, 0.500, 0.000) and O at (0.500, 0.500, 0.500).

---

[3]
Compound: SnBRhO5
Source: Alexandria via LeMat-Bulk
Functional: PBE
Structure: optimized geometry

The formation energy (no corrections) is -1301 meV/atom. The calculation puts the size of the total moment at 0.0 μB/cell. The value obtained for the theoretical density is 5.92 Mg/m³.

The structure belongs to space group C2/c (No. 15); the cell edges are 6.251, 8.001 and 7.659 Å and the angles 90.00°, 113.83° and 90.00°. The distinct sites, in fractional coordinates, are Sn at (0.250, 0.250, 0.000), B at (0.000, 0.063, 0.250), Rh at (0.000, 0.404, 0.250), O at (0.000, 0.355, 0.750), O at (0.005, 0.187, 0.398) and O at (0.211, 0.048, 0.822).

---

What is the formula in the second record? BSb2RhO